Excerpt:
- - -
The following is a quantum chemistry calculation of a structure of composition C14H12N3OPdTe4, from the Open Molecules 2025 dataset.

Element x y z (Å)
Pd1 -0.394 0.147 0.215
C1 3.187 -1.145 2.208
C2 2.110 -0.401 1.487
N1 1.429 -0.885 0.516
N2 1.583 -2.150 0.040
C3 0.466 -2.522 -0.573
O1 -0.621 -1.872 -0.685
C4 0.507 -3.892 -1.188
C5 1.658 -4.676 -1.155
C6 1.665 -5.933 -1.740
C7 0.522 -6.422 -2.361
C8 -0.627 -5.644 -2.395
C9 -0.634 -4.386 -1.811
C10 1.653 0.926 1.965
C11 1.813 1.366 3.217
C12 1.235 2.630 3.748
C13 0.716 3.506 2.629
C14 -0.045 2.677 1.625
N3 0.844 1.667 1.012
H1 3.497 -1.997 1.608
H2 2.817 -1.518 3.166
H3 4.039 -0.493 2.406
H4 2.537 -4.282 -0.666
H5 2.564 -6.535 -1.710
H6 0.529 -7.405 -2.816
H7 -1.521 -6.020 -2.877
H8 -1.517 -3.762 -1.825
H9 2.347 0.738 3.918
H10 1.970 3.152 4.357
H11 0.122 4.340 2.995
H12 -0.429 3.293 0.819
Te1 2.032 2.590 -0.415
Te2 2.403 4.460 1.551
Te3 -0.409 2.243 5.136
Te4 -1.741 1.464 2.225

## Properties
HOMO-LUMO gap (alpha / beta) = 4.71 / 4.71 eV
charge = -1
HOMO energy (alpha / beta) = -3.0 / -3.0 eV
E_LUMO (alpha / beta) = 1.7025 / 1.7025 eV
DFT total energy = -1980.14185 Eh
relative energy (zero: lowest compared OMol25 entry of this formula, charge and spin) = 3.485 eV

The following is a quantum chemistry calculation of a structure of composition C14H12N3RhS2SbSe4, from the Open Molecules 2025 dataset.

Element x y z (Å)
Rh1 -1.532 0.024 -0.022
S1 2.748 -0.040 1.579
C1 2.973 0.056 -0.136
C2 4.159 -0.042 -0.858
C3 4.100 0.095 -2.230
C4 2.878 0.346 -2.864
C5 1.702 0.445 -2.148
C6 1.742 0.275 -0.763
N1 0.662 0.339 0.111
C7 1.046 0.205 1.348
C8 0.073 0.247 2.422
C9 0.454 0.401 3.756
C10 -0.516 0.551 4.726
C11 -1.854 0.560 4.338
C12 -2.220 0.393 3.013
C13 -1.266 0.209 2.006
H1 5.100 -0.218 -0.354
H2 5.007 0.023 -2.815
H3 2.855 0.486 -3.938
H4 0.757 0.681 -2.617
H5 1.505 0.431 4.026
H6 -0.240 0.682 5.765
H7 -2.627 0.707 5.085
H8 -3.273 0.410 2.757
Se1 -4.932 1.877 0.134
Sb1 -2.591 2.287 -0.245
Se2 -3.735 -0.627 0.273
Se3 -1.762 1.186 -2.330
Se4 -1.309 4.110 0.579
N2 -0.211 -1.884 -3.149
C14 -1.113 -2.239 -2.206
N3 -2.393 -2.328 -2.611
S2 -0.622 -2.597 -0.631
H9 -0.533 -1.345 -3.939
H10 0.702 -1.642 -2.796
H11 -2.659 -1.765 -3.406
H12 -3.075 -2.298 -1.859

## Properties
HOMO-LUMO gap (alpha / beta) = 5.95 / 5.95 eV
charge = -1
HOMO energy (alpha / beta) = -4.3 / -4.3 eV
E_LUMO (alpha / beta) = 1.6861 / 1.6860 eV
DFT total energy = -11458.07058 Eh
relative energy (zero: lowest compared OMol25 entry of this formula, charge and spin) = 0.024 eV

The following is a quantum chemistry calculation of a structure of composition C14H12O5, from the Open Molecules 2025 dataset.

Element x y z (Å)
O1 -1.403 -2.429 -6.165
C1 -1.187 -1.514 -5.544
O2 -1.280 -0.346 -5.894
H1 -1.505 -0.133 -6.777
C2 -0.673 -1.469 -4.040
O3 -0.785 -0.282 -3.270
C3 -0.584 -0.172 -1.905
C4 -0.258 0.960 -1.446
C5 0.029 1.150 -0.069
C6 0.188 0.074 0.670
C7 0.163 -1.404 0.279
C8 -0.024 -1.471 -1.067
H2 -0.092 -2.251 -1.670
H3 0.327 -2.181 0.798
C9 0.615 0.358 2.065
C10 0.409 1.662 2.611
C11 0.177 2.880 1.592
O4 0.186 3.964 2.012
O5 0.006 2.289 0.279
C12 0.776 1.662 4.046
H4 1.998 2.098 4.104
H5 0.108 2.330 4.689
C13 0.707 0.136 4.511
H6 -0.373 0.071 5.050
H7 1.775 -0.168 5.180
C14 0.818 -0.674 3.118
H8 1.808 -0.852 2.968
H9 0.174 -1.632 3.235
H10 -0.687 1.872 -1.987
H11 -1.640 -2.260 -3.499
H12 0.228 -2.265 -3.873

## Properties
HOMO-LUMO gap = 8.36 eV
HOMO energy = -8.0 eV
E_LUMO = 0.4077 eV
DFT total energy = -916.58252 Eh
relative energy (zero: lowest compared OMol25 entry of this formula, charge and spin) = 9.351 eV

The following is a quantum chemistry calculation of a structure of composition C14H13CdF9N3O6S3, from the Open Molecules 2025 dataset.

Element x y z (Å)
Cd1 -0.427 0.217 -0.224
C1 -1.948 0.603 3.498
C2 -0.481 0.338 3.404
N1 0.190 0.222 2.297
C3 1.539 0.018 2.540
C4 1.873 -0.059 3.850
S1 0.485 0.174 4.815
C5 2.484 -0.061 1.411
C6 3.832 0.052 1.494
S2 4.507 -0.074 -0.069
C7 2.944 -0.296 -0.744
- - -

To do:
The reader should restate the entries earlier on without additions.

Worked solution:
The following is a quantum chemistry calculation of a structure of composition C14H12N3OPdTe4, from the Open Molecules 2025 dataset.

Element x y z (Å)
Pd1 -0.394 0.147 0.215
C1 3.187 -1.145 2.208
C2 2.110 -0.401 1.487
N1 1.429 -0.885 0.516
N2 1.583 -2.150 0.040
C3 0.466 -2.522 -0.573
O1 -0.621 -1.872 -0.685
C4 0.507 -3.892 -1.188
C5 1.658 -4.676 -1.155
C6 1.665 -5.933 -1.740
C7 0.522 -6.422 -2.361
C8 -0.627 -5.644 -2.395
C9 -0.634 -4.386 -1.811
C10 1.653 0.926 1.965
C11 1.813 1.366 3.217
C12 1.235 2.630 3.748
C13 0.716 3.506 2.629
C14 -0.045 2.677 1.625
N3 0.844 1.667 1.012
H1 3.497 -1.997 1.608
H2 2.817 -1.518 3.166
H3 4.039 -0.493 2.406
H4 2.537 -4.282 -0.666
H5 2.564 -6.535 -1.710
H6 0.529 -7.405 -2.816
H7 -1.521 -6.020 -2.877
H8 -1.517 -3.762 -1.825
H9 2.347 0.738 3.918
H10 1.970 3.152 4.357
H11 0.122 4.340 2.995
H12 -0.429 3.293 0.819
Te1 2.032 2.590 -0.415
Te2 2.403 4.460 1.551
Te3 -0.409 2.243 5.136
Te4 -1.741 1.464 2.225

## Properties
HOMO-LUMO gap (alpha / beta) = 4.71 / 4.71 eV
charge = -1
HOMO energy (alpha / beta) = -3.0 / -3.0 eV
E_LUMO (alpha / beta) = 1.7025 / 1.7025 eV
DFT total energy = -1980.14185 Eh
relative energy (zero: lowest compared OMol25 entry of this formula, charge and spin) = 3.485 eV

The following is a quantum chemistry calculation of a structure of composition C14H12N3RhS2SbSe4, from the Open Molecules 2025 dataset.

Element x y z (Å)
Rh1 -1.532 0.024 -0.022
S1 2.748 -0.040 1.579
C1 2.973 0.056 -0.136
C2 4.159 -0.042 -0.858
C3 4.100 0.095 -2.230
C4 2.878 0.346 -2.864
C5 1.702 0.445 -2.148
C6 1.742 0.275 -0.763
N1 0.662 0.339 0.111
C7 1.046 0.205 1.348
C8 0.073 0.247 2.422
C9 0.454 0.401 3.756
C10 -0.516 0.551 4.726
C11 -1.854 0.560 4.338
C12 -2.220 0.393 3.013
C13 -1.266 0.209 2.006
H1 5.100 -0.218 -0.354
H2 5.007 0.023 -2.815
H3 2.855 0.486 -3.938
H4 0.757 0.681 -2.617
H5 1.505 0.431 4.026
H6 -0.240 0.682 5.765
H7 -2.627 0.707 5.085
H8 -3.273 0.410 2.757
Se1 -4.932 1.877 0.134
Sb1 -2.591 2.287 -0.245
Se2 -3.735 -0.627 0.273
Se3 -1.762 1.186 -2.330
Se4 -1.309 4.110 0.579
N2 -0.211 -1.884 -3.149
C14 -1.113 -2.239 -2.206
N3 -2.393 -2.328 -2.611
S2 -0.622 -2.597 -0.631
H9 -0.533 -1.345 -3.939
H10 0.702 -1.642 -2.796
H11 -2.659 -1.765 -3.406
H12 -3.075 -2.298 -1.859

## Properties
HOMO-LUMO gap (alpha / beta) = 5.95 / 5.95 eV
charge = -1
HOMO energy (alpha / beta) = -4.3 / -4.3 eV
E_LUMO (alpha / beta) = 1.6861 / 1.6860 eV
DFT total energy = -11458.07058 Eh
relative energy (zero: lowest compared OMol25 entry of this formula, charge and spin) = 0.024 eV

The following is a quantum chemistry calculation of a structure of composition C14H12O5, from the Open Molecules 2025 dataset.

Element x y z (Å)
O1 -1.403 -2.429 -6.165
C1 -1.187 -1.514 -5.544
O2 -1.280 -0.346 -5.894
H1 -1.505 -0.133 -6.777
C2 -0.673 -1.469 -4.040
O3 -0.785 -0.282 -3.270
C3 -0.584 -0.172 -1.905
C4 -0.258 0.960 -1.446
C5 0.029 1.150 -0.069
C6 0.188 0.074 0.670
C7 0.163 -1.404 0.279
C8 -0.024 -1.471 -1.067
H2 -0.092 -2.251 -1.670
H3 0.327 -2.181 0.798
C9 0.615 0.358 2.065
C10 0.409 1.662 2.611
C11 0.177 2.880 1.592
O4 0.186 3.964 2.012
O5 0.006 2.289 0.279
C12 0.776 1.662 4.046
H4 1.998 2.098 4.104
H5 0.108 2.330 4.689
C13 0.707 0.136 4.511
H6 -0.373 0.071 5.050
H7 1.775 -0.168 5.180
C14 0.818 -0.674 3.118
H8 1.808 -0.852 2.968
H9 0.174 -1.632 3.235
H10 -0.687 1.872 -1.987
H11 -1.640 -2.260 -3.499
H12 0.228 -2.265 -3.873

## Properties
HOMO-LUMO gap = 8.36 eV
HOMO energy = -8.0 eV
E_LUMO = 0.4077 eV
DFT total energy = -916.58252 Eh
relative energy (zero: lowest compared OMol25 entry of this formula, charge and spin) = 9.351 eV

The following is a quantum chemistry calculation of a structure of composition C14H13CdF9N3O6S3, from the Open Molecules 2025 dataset.

Element x y z (Å)
Cd1 -0.427 0.217 -0.224
C1 -1.948 0.603 3.498
C2 -0.481 0.338 3.404
N1 0.190 0.222 2.297
C3 1.539 0.018 2.540
C4 1.873 -0.059 3.850
S1 0.485 0.174 4.815
C5 2.484 -0.061 1.411
C6 3.832 0.052 1.494
S2 4.507 -0.074 -0.069
C7 2.944 -0.296 -0.744